
Conference FAQ

Online Conference schedule and speakers: csvconf.com/speakers/

Conference dates: May 4-5, 2021, Online.

FAQs for Participants

How can I join the conference?

Please register (for free!): csvconfv6.eventbrite.com/

Each Conference Session has a Crowdcast link to join. The links are listed in the schedule.

Read our conference Code of Conduct. By joining the video feed, all participants agree to adhere to the Code of Conduct.

Which time does the the conference start?

While we hope to have an event that everyone can participate in, it is impossible to have an event that caters to everyone’s timezones. We hope that by having the event start at 8 a.m. PT, that you can still attend most of our event.

How does a virtual conference work?

Talks will be delivered in a seven-hour window, for two days in a row. Participants are encouraged to join talks that work for their schedule.

Speakers will present their talks via video, and the audience will be able to ask questions and chat with each other in written form.

When participants join, their video will be off and they will be muted. The only people that will have the option of using video and sound will be the speakers and moderators. Participants may be invited on screen during the Q&A to voice their questions.

The organising team will moderate every talk to introduce speakers, help with questions, ensure the Code of Conduct is followed and to make sure the technology runs smoothly.

Can’t make these dates or times? No worries - all the talks will be recorded. You will be able to watch all talks on crowdcast immediately after the session and talks will also be posted on our YouTube channel after the event.

What is the format of the conference sessions?

Talks are slotted for 20 minutes total, including time for questions.

Birds of a Feather sesssions will be an hour long.

Sessions will be moderated by the organising team.

Attached: quantum chemistry results >
/*
# 1
*/
Here the article continues >

What platform will the conference use?

We will use Crowdcast for all talks. Participants will need to sign in to sessions they would like to attend and can do so here: https://www.crowdcast.io/csvconf. Sign in requires a valid email address.

We will use Spatial Chat for Birds of a Feather sessions and social time. Read how to use Spatial Chat in the FAQ below.

We will also use our existing csv,conf Slack channel to communicate with speakers and attendees throughout the conference. Sign up now! https://csvconf-slackin.herokuapp.com/

How will you handle questions from the audience?

Questions for the speaker during their talk: Within Crowdcast, Please use the ‘Questions’ tab for questions for the speaker. These can be voted up & questions with the most votes will be asked to the speaker. The question writer will have the option to turn on their microphone and video to ask their question during the Q+A, or the moderator can ask the question if desired.

Questions for the speaker after their talk: We anticipate moving quickly, so there might not be enough time for the speaker to answer every question after their talk ends. If this is the case, the moderators will re-post the remaining questions in a Slack channel so the speakers can respond to the questions at their own pace.

Questions/comments for your fellow audience members: There is also a live chat that can be used for posting links to related work, general chit chat, and clapping after the talks end (👏). Remember to follow our Code of Conduct when participating in the chat.

Questions for the organizers: Please reach out in Slack if you have questions for the organizers. For technical help, see the help channel in Slack. For any inquiries related to the Code of Conduct, please follow the reporting guidelines specified in the Code of Conduct.

Are you providing Live Captioning for your event?

Yes! You can watch our stenographers live in action at https://www.streamtext.net/player?event=CSVConf. As Sessions 4 and 9 are concurrent, you can follow along here: https://www.streamtext.net/player?event=CSVConf2.

How can I watch the talks after the conference is over?

All csv,conf,v6 talks will be posted on our YouTube channel after the event. Recorded talks will be available on Crowdcast soon after each session.

=====
[1]
This record from OMol25 describes a single C7H12O molecule at a distorted geometry. The level of theory is ωB97M-V/def2-TZVPD.

The calculation puts the HOMO-LUMO gap at 10.7 eV. As for the LUMO energy: 0.99 eV. Its HOMO energy is -0.35841 hartree. As for the SMILES: C=CCCCCC=O. Its spin multiplicity is 1.

The geometry in XYZ format:
```
20
Properties=species:S:1:pos:R:3:forces:R:3
O -0.929 -0.014 -4.247 0.1396 0.6510 -0.1819
C -0.673 0.367 -3.137 0.4797 -1.0713 0.2093
C -1.226 -0.293 -1.906 -0.0859 -1.2126 -0.3775
C -0.136 -0.689 -0.923 0.3721 1.3196 2.3417
C -0.637 -0.615 0.563 -1.0652 -0.7728 0.5873
C -0.237 0.544 1.523 2.5130 -0.1907 -1.1069
C 1.296 0.539 1.590 -1.3511 1.5259 -0.1150
C 1.945 0.515 2.742 0.6489 -1.2806 -0.4787
H 0.126 1.119 -2.894 -0.4451 0.0998 -0.4710
H -1.632 -1.305 -2.137 -0.4075 1.0467 -0.5292
H -2.053 0.330 -1.534 0.4702 -0.0932 0.3922
H 0.225 -1.712 -1.076 -0.3273 0.2683 -0.3312
H 0.789 -0.090 -0.872 -0.3579 0.1474 -0.9119
H -0.259 -1.584 0.941 -0.3539 0.6651 0.7042
H -1.739 -0.635 0.643 0.2889 -0.4614 -0.5025
H -0.571 0.452 2.553 -0.6318 -0.2887 -0.1619
H -0.443 1.578 1.161 -0.5270 -0.7957 -0.0031
H 1.699 0.830 0.616 0.6698 -0.2462 0.5365
H 3.026 0.543 2.786 0.0240 0.2134 0.0900
H 1.427 0.122 3.608 -0.0535 0.4761 0.3096
```
Positions in Å, forces in eV/Å.

---

[2]
This record from OMol25 describes 2 unconnected molecules or ions with the total composition C7H12O3 at a distorted geometry. The level of theory is ωB97M-V/def2-TZVPD.

The calculation puts the HOMO-LUMO gap at 10.5 eV. As for the LUMO energy: 0.62 eV. Its HOMO energy is -0.36149 hartree. As for the SMILES: C#C[C@]1(COCC)CO1.O. Its spin multiplicity is 1.

The geometry in XYZ format:
```
22
Properties=species:S:1:pos:R:3:forces:R:3
C -3.109 1.216 -1.300 -0.1176 0.0116 -0.1658
C -2.224 0.855 -0.128 -0.0649 0.0610 0.3695
O -1.070 0.192 -0.602 0.0548 -0.0193 -0.2071
C -0.182 -0.167 0.415 0.2955 -0.0905 0.4279
C 1.000 -0.888 -0.191 -0.2614 -0.8182 -1.3592
C 1.614 -2.055 0.466 1.1714 1.0387 1.7039
O 0.681 -2.289 -0.553 -0.3029 0.5676 0.9161
C 1.734 -0.161 -1.216 0.5475 0.5974 -0.5333
C 2.366 0.490 -2.016 -0.4450 -0.3302 0.6071
H -4.014 1.723 -0.942 0.2109 -0.1171 -0.0815
H -2.585 1.888 -1.991 -0.1097 -0.1878 0.1580
H -3.412 0.313 -1.848 0.1061 0.2406 0.1322
H -1.927 1.764 0.429 -0.0660 -0.1756 -0.1078
H -2.762 0.197 0.579 0.1004 0.1510 -0.1487
H 0.185 0.727 0.952 -0.1020 -0.0314 -0.0564
H -0.664 -0.831 1.153 0.1157 0.0681 -0.1570
H 2.643 -2.322 0.210 -0.2120 0.1786 -0.0863
H 1.496 -2.047 1.606 -0.7568 -0.9049 -1.6752
H 2.913 1.097 -2.714 -0.2153 -0.3156 0.2362
O 2.730 -0.154 2.660 -0.1861 0.9806 -2.0685
H 2.565 0.338 1.784 0.3441 -1.0615 2.1029
H 2.019 0.114 3.247 -0.1069 0.1568 -0.0072
```
Positions in Å, forces in eV/Å.

---

[3]
This record from OMol25 describes 2 unconnected molecules or ions with the total composition C7H12O3 at a distorted geometry. The level of theory is ωB97M-V/def2-TZVPD.
=====
**The piece goes on:**

Speakers will be able to opt out of being posted on YouTube.

FAQs for Speakers

Crowdcast specific instructions for speakers:

I am giving a talk. Will we be able to practice using the platform prior to May 4/5?

Yes, we will host a series of open hours sessions on Crowdcast where we will be available to help speakers get familiar with the software. Practice sessions will be scheduled.

In addition, we will run a session prior to the conference for participants to familiarise themselves with the platform.

Can I pre-record my talk?

On Crowdcast, it is easier for speakers to do a live presentation. However, if you would like to pre-record, for whatever reason, we would like to accommodate you. Please let us know via email or Slack and we will work it out.

What if my talk runs over time?

We need to make sure we keep to time, and the moderators will be strict on this. The moderators will verbally signal to you when you are low on time.

Speakers, please prepare a ‘come find me here’ slide to show at the end of your presentation

Any questions asked in presentations will be shared with the speaker after their talk, and answers will be shared in the csv,conf Slack

Are there any things I should do to set up my space/computer before my presentation?

Framing yourself: Make sure your webcam is roughly at eye level and look into the camera. It makes it look like you’re looking at the audience.

Lighting: Take a look at where your computer is set up. Make sure you don’t look too dark or you’re blown away from too little or too much light. More info on how to look fabulous on webcam: https://www.ryerson.ca/journalism/news-events/2020/04/how-to-look-and-sound-fabulous-on-a-webcam/

Audio: Best practice is to always use headphones. This stops audio from your computer bleeding into your mic, if you’re using your computer mic. Try to find a quiet place away from other living beings that make noise. Mics are great, if you have one, use it as the mic will be further away from your computer, and won’t be next to your laptop’s fan.

Please plug in your laptop. There is nothing worse than losing your talk because your computer is out of battery!

Are there suggestions for improving my internet connection so I don’t break up during my talk?

Ethernet is your friend. See if you can plug your computer into ethernet for your talk so there’s less chance of wifi drop outs.

Bandwidth issues: During your talk, try to avoid having everyone clog your Internet - ask roommates/family members to not over-tax the Internet. Take a break from streaming, downloading. Remind them it’s only 20 minutes!

Please disconnect from VPNs. If possible, please disconnecd from any VPNs before your talk. This allows your device to have a direct connection to Crowdcast’s servers.

Curious if your set-up works with Crowdcast?:

Try it out: https://www.crowdcast.io/setup

What if I have technical issues?

If you have technical issues, post in the Slack channel and we will try to help you! You can join the Slack channel with this link.

FAQs for Birds of a Feather

What platform will Birds of a Feather (BOFs) use?

We are using Spatial Chat for BOFs. You can test out Spatial Chat here: https://spatial.chat/s/TryMe and read the basics of Spatial Chat here: https://help.spatial.chat/hc/en-us/articles/360019120259-Basics-of-SpatialChat. The rooms are password protected - please do not share the link or password. We will communicate this information over Slack. These rooms are not being recorded, but the chat is persistent and anyone can view it.

How do I use Spatial Chat?

When you join the Spatial Chat, you can enable your mic & camera if you’d like. You can “move” around in the space by dragging your circle. The closer you get to someone, the louder that person’s audio will be to you (the farther you get, the quieter they will be). You can visit other rooms to move to different BOF sessions.

How do I move to other “rooms” in Spatial Chat?

To switch to a new room, click on the room in the room list. To view the room list, click on the person icon in the upper right corner. You can move between rooms at will.

How do I interact with others in Spatial Chat?

You can speak, write in the chat, share images, and share screens (note: some of these options might be disabled in some rooms). To view the chat, click on the speech bubble icon in the upper right corner. At the bottom of your screen, there is a menu that lets you share content (images, GIFs, etc), emojis, or text. Please follow the Code of Conduct when you are sharing any content.

What is a “stage” room?

“Stage” rooms will be more like a webinar - only the speakers will be on the screen and talking. Everyone else will be an audience member with no audio or visual. Everyone will be able to use the chat to ask questions or say hello.

Other General FAQs

Will you have a llama?

Yes csv,conf will have a virtual appearance of the #commallama 🦙.

What’s csvconf’s social media policy?

csv,conf,v6 has an open policy, but some speakers might have specific requests / directives around sharing of content from their sessions. Where this is the case, please observe their requests.

We encourage you to Tweet (#csvconf @csvconference) during the sessions and throughout the conference days! Eating lunch during a talk? Let us know what meal you are enjoying! Spotted a llama? Let us know too (#commallama)

Need additional help?

Reach out to us on Slack https://csvconf-slackin.herokuapp.com/.